## Source
+++
Record 1
For Ti3ZnP3O13, a crystal structure in the Materials Project, relaxed with GGA-PBE gives the simulated X-ray diffraction stick pattern in this record (CuKα).
Intensities are scaled so that the largest is 1000.

Top 10 peaks for 2θ from 5° to 70°, by angle:
Position (°2θ), d (Å), Rel. int., index
8.51, 10.388, 887, 0 0 1
18.98, 4.676, 521, 1 0 -2
22.31, 3.985, 698, 1 0 2
23.39, 3.803, 483, 2 0 0
23.50, 3.785, 438, 2 0 -1
25.73, 3.463, 447, 0 0 3
27.84, 3.205, 1000, 0 2 0
30.12, 2.967, 906, 1 0 3
32.05, 2.792, 466, 1 2 1
38.24, 2.354, 634, 0 2 3

Structural model:
abc: 7.7191 6.4090 10.5421
angles: 90.00 99.81 90.00
Space group P2_1/m (No. 11)
Asymmetric unit:
Ti  0.0000  0.0000  0.0000 [2 per cell]
Ti  0.2110  0.2500  0.5597 [2 per cell]
Ti  0.3526  0.7500  0.2004 [2 per cell]
Zn  0.3813  0.7500  0.8489 [2 per cell]
P  0.2193  0.7500  0.4869 [2 per cell]
P  0.2647  0.2500  0.2375 [2 per cell]
P  0.3123  0.2500  0.8815 [2 per cell]
O  0.0209  0.7500  0.4177 [2 per cell]
O  0.0914  0.2500  0.1339 [2 per cell]
O  0.1332  0.7500  0.0967 [2 per cell]
O  0.2128  0.0492  0.9082 [4 per cell]
O  0.2191  0.2500  0.3732 [2 per cell]
O  0.2533  0.5546  0.5722 [4 per cell]
O  0.3355  0.7500  0.3827 [2 per cell]
O  0.3513  0.2500  0.7412 [2 per cell]
O  0.3791  0.0608  0.2115 [4 per cell]
O  0.4945  0.7500  0.0425 [2 per cell]


Record 2
For TiZnPO5, a crystal structure in the Materials Project, relaxed with GGA-PBE gives the simulated X-ray diffraction stick pattern in this record (CuKα).
Intensities are scaled so that the largest is 1000.

Top 10 peaks for 2θ from 5° to 70°, by angle:
Position (°2θ), d (Å), Rel. int., index
27.01, 3.301, 721, 0 1 -2
27.20, 3.279, 434, 1 0 -2
27.84, 3.204, 1000, 1 1 0
29.78, 3.000, 161, 1 1 -2
35.03, 2.562, 399, 1 -1 2
35.61, 2.521, 325, 1 -2 0
36.20, 2.482, 255, 2 -1 0
50.76, 1.799, 171, 1 1 -4
52.75, 1.735, 208, 2 0 2
54.03, 1.697, 153, 0 3 0

Structural model:
abc: 5.3237 5.4472 7.2388
angles: 105.85 105.54 98.36
Space group P-1 (No. 2)
Asymmetric unit:
Ti  0.0000  0.0000  0.0000 [1 per cell]
Ti  0.0000  0.0000  0.5000 [1 per cell]
Zn  0.3033  0.6597  0.2467 [2 per cell]
P  0.3372  0.6497  0.7481 [2 per cell]
O  0.0924  0.9138  0.2501 [2 per cell]
O  0.1380  0.6704  0.8704 [2 per cell]
O  0.3007  0.3555  0.6170 [2 per cell]
O  0.3072  0.8299  0.6171 [2 per cell]
O  0.3644  0.2916  0.1092 [2 per cell]


Record 3
For TiZnP2O7, a crystal structure in the Materials Project, relaxed with GGA-PBE gives the simulated X-ray diffraction stick pattern in this record (CuKα).
Intensities are scaled so that the largest is 1000.

Top 10 peaks for 2θ from 5° to 70°, by angle:
Position (°2θ), d (Å), Rel. int., index
19.46, 4.562, 163, 1 0 1
24.60, 3.619, 164, 0 0 2
28.13, 3.173, 558, 1 2 0
28.27, 3.157, 524, 1 -1 1
28.58, 3.123, 402, 1 0 2
29.39, 3.039, 282, 0 2 0
30.13, 2.966, 1000, 1 0 -2
31.89, 2.806, 196, 2 0 0
39.52, 2.280, 230, 2 0 2
42.01, 2.151, 177, 1 3 1

Structural model:
abc: 6.0142 6.5393 7.3155
angles: 82.28 84.24 69.16
Space group P-1 (No. 2)
Asymmetric unit:
Ti  0.2476  0.1470  0.1947 [2 per cell]
Zn  0.3669  0.6550  0.6675 [2 per cell]
P  0.1804  0.6710  0.0972 [2 per cell]
P  0.2392  0.2075  0.6147 [2 per cell]
O  0.0719  0.3060  0.7923 [2 per cell]
+++
## Exercise
Set down only the last part of the rows further above, starting with the line that has "438,", please.
## Outcome
23.50, 3.785, 438, 2 0 -1
25.73, 3.463, 447, 0 0 3
27.84, 3.205, 1000, 0 2 0
30.12, 2.967, 906, 1 0 3
32.05, 2.792, 466, 1 2 1
38.24, 2.354, 634, 0 2 3

Structural model:
abc: 7.7191 6.4090 10.5421
angles: 90.00 99.81 90.00
Space group P2_1/m (No. 11)
Asymmetric unit:
Ti  0.0000  0.0000  0.0000 [2 per cell]
Ti  0.2110  0.2500  0.5597 [2 per cell]
Ti  0.3526  0.7500  0.2004 [2 per cell]
Zn  0.3813  0.7500  0.8489 [2 per cell]
P  0.2193  0.7500  0.4869 [2 per cell]
P  0.2647  0.2500  0.2375 [2 per cell]
P  0.3123  0.2500  0.8815 [2 per cell]
O  0.0209  0.7500  0.4177 [2 per cell]
O  0.0914  0.2500  0.1339 [2 per cell]
O  0.1332  0.7500  0.0967 [2 per cell]
O  0.2128  0.0492  0.9082 [4 per cell]
O  0.2191  0.2500  0.3732 [2 per cell]
O  0.2533  0.5546  0.5722 [4 per cell]
O  0.3355  0.7500  0.3827 [2 per cell]
O  0.3513  0.2500  0.7412 [2 per cell]
O  0.3791  0.0608  0.2115 [4 per cell]
O  0.4945  0.7500  0.0425 [2 per cell]


Record 2
For TiZnPO5, a crystal structure in the Materials Project, relaxed with GGA-PBE gives the simulated X-ray diffraction stick pattern in this record (CuKα).
Intensities are scaled so that the largest is 1000.

Top 10 peaks for 2θ from 5° to 70°, by angle:
Position (°2θ), d (Å), Rel. int., index
27.01, 3.301, 721, 0 1 -2
27.20, 3.279, 434, 1 0 -2
27.84, 3.204, 1000, 1 1 0
29.78, 3.000, 161, 1 1 -2
35.03, 2.562, 399, 1 -1 2
35.61, 2.521, 325, 1 -2 0
36.20, 2.482, 255, 2 -1 0
50.76, 1.799, 171, 1 1 -4
52.75, 1.735, 208, 2 0 2
54.03, 1.697, 153, 0 3 0

Structural model:
abc: 5.3237 5.4472 7.2388
angles: 105.85 105.54 98.36
Space group P-1 (No. 2)
Asymmetric unit:
Ti  0.0000  0.0000  0.0000 [1 per cell]
Ti  0.0000  0.0000  0.5000 [1 per cell]
Zn  0.3033  0.6597  0.2467 [2 per cell]
P  0.3372  0.6497  0.7481 [2 per cell]
O  0.0924  0.9138  0.2501 [2 per cell]
O  0.1380  0.6704  0.8704 [2 per cell]
O  0.3007  0.3555  0.6170 [2 per cell]
O  0.3072  0.8299  0.6171 [2 per cell]
O  0.3644  0.2916  0.1092 [2 per cell]


Record 3
For TiZnP2O7, a crystal structure in the Materials Project, relaxed with GGA-PBE gives the simulated X-ray diffraction stick pattern in this record (CuKα).
Intensities are scaled so that the largest is 1000.

Top 10 peaks for 2θ from 5° to 70°, by angle:
Position (°2θ), d (Å), Rel. int., index
19.46, 4.562, 163, 1 0 1
24.60, 3.619, 164, 0 0 2
28.13, 3.173, 558, 1 2 0
28.27, 3.157, 524, 1 -1 1
28.58, 3.123, 402, 1 0 2
29.39, 3.039, 282, 0 2 0
30.13, 2.966, 1000, 1 0 -2
31.89, 2.806, 196, 2 0 0
39.52, 2.280, 230, 2 0 2
42.01, 2.151, 177, 1 3 1

Structural model:
abc: 6.0142 6.5393 7.3155
angles: 82.28 84.24 69.16
Space group P-1 (No. 2)
Asymmetric unit:
Ti  0.2476  0.1470  0.1947 [2 per cell]
Zn  0.3669  0.6550  0.6675 [2 per cell]
P  0.1804  0.6710  0.0972 [2 per cell]
P  0.2392  0.2075  0.6147 [2 per cell]
O  0.0719  0.3060  0.7923 [2 per cell]